File >
/*
1.
Formula: C18H52N4O10S
Source: the OMol25 dataset
Level of theory: ωB97M-V/def2-TZVPD

The geometry in XYZ format:
```
85
Properties=species:S:1:pos:R:3:forces:R:3
N 1.4399 3.2138 2.5498 0.216 0.439 -2.348
H 0.4655 2.8186 2.5965 -0.003 -0.784 0.773
H 1.4251 3.4384 1.4928 0.297 0.240 0.369
H 2.3282 2.5616 2.5150 -0.594 -0.404 0.756
H 1.5529 4.1039 3.0131 0.000 -0.095 0.249
N 0.4240 1.2937 0.0518 -0.376 -1.893 0.754
H 0.9675 2.0986 -0.3085 -0.278 0.747 -0.014
H 1.1017 0.6098 0.4707 -0.272 0.262 -0.382
H -0.1772 0.8118 -0.6122 0.404 0.088 -0.286
H -0.1936 1.5114 0.8758 0.086 0.674 0.084
S 2.7409 0.1757 2.0998 -1.350 -1.257 1.144
O 3.4123 1.4886 2.3381 0.354 0.581 0.194
O 2.9011 -0.1744 0.6569 0.134 -0.313 0.180
O 3.2382 -0.8606 3.0348 0.881 0.181 -0.832
O 1.2824 0.3145 2.3868 0.518 0.467 -0.424
C 0.5333 5.7068 0.4604 -0.177 0.724 -0.252
C 1.0394 4.7800 -0.6635 -0.108 0.943 -0.377
C 2.0661 5.5553 -1.5221 0.414 -0.297 -0.161
O 1.5362 3.6128 -0.2208 0.132 0.169 0.178
H 1.3695 6.1403 1.0240 0.010 -0.461 0.263
H -0.1927 5.1938 1.0925 0.245 -0.037 0.184
H 0.0172 6.5994 0.0661 -0.025 -0.234 -0.194
H 0.1647 4.6938 -1.3695 -0.071 -0.318 0.161
H 2.4100 4.8609 -2.2962 -0.062 0.147 -0.092
H 2.9647 5.8180 -0.9502 -0.167 -0.010 0.176
H 1.6723 6.4654 -1.9923 -0.107 -0.052 0.037
C -3.4551 2.6798 1.8530 -0.160 0.248 0.158
C -2.0186 3.1535 2.1750 0.214 -0.739 -0.474
C -2.0267 4.0434 3.4300 -0.449 1.312 -0.871
O -1.1459 2.1122 2.2579 0.164 0.355 0.101
H -3.9141 2.2280 2.7400 0.021 -0.103 -0.073
H -3.4378 1.9453 1.0460 0.120 -0.062 0.057
H -4.0843 3.5219 1.5266 -0.024 -0.037 0.096
H -1.7575 3.8180 1.3076 -0.104 0.188 0.187
H -2.0463 3.5215 4.3830 0.029 -0.265 -0.081
H -2.8937 4.7239 3.3366 -0.073 -0.212 0.371
H -1.1945 4.7561 3.3813 0.306 -0.375 0.290
C -3.4047 -4.2281 1.6448 -0.206 -0.557 -0.995
O -2.4580 -3.2988 2.0307 0.141 0.008 0.150
C -1.6201 -2.9026 0.9626 0.809 0.617 -0.613
C -0.3751 -2.1726 1.4956 -0.795 1.155 0.882
N 0.1336 -2.6629 2.7742 0.504 -1.044 -1.158
C 0.9762 -3.8979 2.6784 -1.715 0.690 0.623
C 1.9978 -3.7907 1.5775 0.440 1.031 0.775
O 1.4540 -4.0342 0.2884 0.121 -0.246 -0.403
C 1.1753 -5.3798 0.0274 -0.329 -0.094 -0.076
H -4.0167 -4.5344 2.4900 -0.016 0.180 0.121
H -2.9443 -5.1326 1.2043 0.130 0.026 0.278
H -4.0404 -3.8557 0.8229 -0.179 0.181 0.286
H -2.1199 -2.1774 0.3037 -0.325 -0.131 0.096
H -1.3477 -3.7489 0.3099 -0.066 -0.288 0.372
H -0.6414 -1.1315 1.7182 -0.196 -0.081 -0.086
H 0.3571 -2.0615 0.7042 0.232 -0.264 0.182
H -0.6956 -2.9092 3.3023 0.136 0.111 0.250
H 0.3075 -4.7689 2.5320 0.347 -0.216 -0.042
H 1.3700 -3.9354 3.6964 0.667 -0.491 -0.287
H 2.8948 -4.3949 1.7653 -0.200 -0.357 -0.143
H 2.3550 -2.7521 1.6227 -0.023 -0.059 -0.360
H 1.8661 -6.0151 0.5925 -0.056 -0.236 -0.193
H 1.2442 -5.5692 -1.0494 0.400 0.136 0.041
H 0.1368 -5.6674 0.2643 0.132 0.096 0.387
C -1.7565 2.0826 -2.4761 -0.585 0.044 -0.109
O -1.2479 0.7925 -2.2530 0.146 0.013 -0.161
C -1.6101 -0.1632 -3.2295 -0.296 0.926 0.447
C -1.3737 -1.5143 -2.6111 -0.329 -0.847 -0.202
N -0.1127 -1.6390 -1.9343 0.438 0.454 0.240
C 1.0789 -1.2050 -2.6103 0.574 -0.265 -0.892
C 1.4050 -1.9440 -3.9097 0.766 -0.423 -0.088
O 1.4356 -3.3351 -3.6305 -0.303 -0.036 0.377
C 1.8854 -4.1348 -4.6738 0.392 0.177 -0.179
H -1.8194 2.3096 -3.5485 0.331 0.111 0.010
H -1.1331 2.8021 -1.9499 0.088 0.013 -0.065
H -2.7847 2.1643 -2.0937 0.070 -0.037 0.085
H -1.0815 0.0594 -4.1669 0.168 -0.261 0.029
H -2.6848 -0.0297 -3.4219 -0.003 -0.314 -0.233
H -1.5412 -2.3096 -3.3630 -0.002 0.208 -0.175
H -2.1765 -1.6356 -1.8783 0.100 -0.110 0.122
H 0.0881 -2.5670 -1.5857 -0.426 -0.048 0.159
H 1.9298 -1.4119 -1.9594 -0.114 0.177 0.267
H 1.1306 -0.1409 -2.8596 -0.407 0.084 0.375
H 2.4257 -1.6392 -4.1977 -0.147 0.118 -0.154
H 0.7514 -1.7810 -4.7797 -0.224 0.224 0.195
H 1.8447 -5.1636 -4.3204 -0.159 -0.087 -0.195
H 2.9339 -3.9224 -4.9431 -0.059 0.085 0.094
H 1.2933 -3.9875 -5.5895 -0.118 -0.194 0.062
```
Forces are in eV/Å.
*/

Job >
It remains to count the lines above that contain the word "in" and give the number alone.

Outcome >
2